Exercise =
Could you count the lines further below that contain the word "two_theta" and give the number alone?
Source =
+++
Diffraction record for Tl5In2Hg. The powder diffraction line list is theoretical, not measured: it uses a PBE-relaxed structure and copper Kα.
Lines closer than 0.1° are merged.

Principal peaks in the range 2θ = 10–90°, low angle first:
h k l, 2θ (°), I/Imax
0 4 1, 32.52, 1000
2 0 1, 32.81, 494
0 8 0, 46.22, 90
4 0 0, 47.00, 86
0 0 2, 47.18, 93
2 8 1, 57.83, 182
4 4 1, 58.34, 177
2 4 2, 58.45, 188
0 8 2, 68.18, 57
0 12 1, 76.87, 72

Atomic structure:
a b c (Å): 7.7336 15.7145 3.8529
angles (deg): 90.00 90.00 90.00
Space group Pbam (No. 55)
Inequivalent atoms, fractional coordinates:
1 Tl 0.0000 0.0000 0.0000 [2 per cell]
2 Tl 0.0073 0.2403 0.0000 [4 per cell]
3 Tl 0.2364 0.3785 0.5000 [4 per cell]
4 In 0.2279 0.6189 0.5000 [4 per cell]
5 Hg 0.0000 0.5000 0.0000 [2 per cell]


Computed powder X-ray diffraction pattern of K3Mn2PbF9 for Cu Kα (λ = 1.5418 Å), from a structure optimized by DFT (PBE+U).
Lines closer than 0.1° are merged.

Main lines, low angle first (2θ = 5–70°):
d/Å	I (rel.)
5.339	31
4.450	100
3.216	79
3.083	63
2.225	68
2.025	21
1.958	23
1.804	29
1.608	15
1.542	24

Structure:
```
K3Mn2PbF9
1.0
6.165 0.000 0.000
-3.083 5.339 0.000
0.000 0.000 8.056
K Mn Pb F
3 2 1 9
Cartesian
0.000 0.000 0.000 K
0.000 3.559 5.819 K
3.083 1.780 2.238 K
0.000 3.559 1.248 Mn
3.083 1.780 6.808 Mn
0.000 0.000 4.028 Pb
-1.541 2.670 0.000 F
0.000 1.822 2.429 F
-1.505 4.428 2.429 F
1.578 0.911 5.628 F
3.083 0.000 0.000 F
1.541 2.670 0.000 F
1.505 4.428 2.429 F
4.587 0.911 5.628 F
3.083 3.517 5.628 F
```


Simulated powder XRD pattern
Compound: AlTlFe2F2
Radiation: copper Kα
Structure: a cell relaxed with GGA+U
Lines closer than 0.1° are merged.

Peak list (12 most intense, 2θ = 5–70°, low angle first)
d/Å	I/Imax
4.645	94
3.688	99
3.285	78
3.032	51
2.888	80
2.855	30
2.539	85
2.323	38
2.228	26
2.169	27
1.965	100
1.449	45

Structural model:
Unit cell a=7.638 b=7.638 c=7.638 alpha=129.06 beta=129.06 gamma=74.91
Fractional coordinates of all 12 atoms:
1 Al 0.000 0.000 0.000
2 Al 0.500 0.500 0.000
3 Tl 0.250 0.750 0.500
4 Tl 0.750 0.250 0.500
5 Fe 0.141 0.641 0.783
6 Fe 0.359 0.141 0.500
7 Fe 0.641 0.859 0.500
8 Fe 0.859 0.359 0.217
9 F 0.145 0.145 0.000
10 F 0.355 0.355 0.000
11 F 0.645 0.645 0.000
12 F 0.855 0.855 0.000


For Sm2Au3, a structure optimized by DFT (PBE) gives the computed PXRD pattern in this record (Cu Kα (λ = 1.5418 Å)).
No peak broadening, texture or thermal motion is included.

Cell and atoms:
a = 8.817 Å, b = 8.817 Å, c = 8.817 Å
α = 109.47°, β = 109.47°, γ = 109.47°
Positions (direct):
Sm 0.000 0.422 0.500
Sm 0.000 0.922 0.500
Sm 0.078 0.078 0.078
Sm 0.422 0.500 0.000
Sm 0.500 0.000 0.422
Sm 0.500 0.000 0.922
Sm 0.578 0.578 0.578
Sm 0.922 0.500 0.000
Au 0.012 0.262 0.750
Au 0.238 0.250 0.488
Au 0.250 0.488 0.238
Au 0.250 0.762 0.512
Au 0.262 0.750 0.012
Au 0.488 0.238 0.250
Au 0.512 0.250 0.762
Au 0.738 0.988 0.750
Au 0.750 0.012 0.262
Au 0.750 0.738 0.988
Au 0.762 0.512 0.250
Au 0.988 0.750 0.738

Most intense lines, 2θ from 5° to 70°, by angle:
two_theta	intensity
21.38	354
27.71	99
32.92	1000
35.26	792
41.61	493
50.72	452
55.65	137
61.80	107
63.28	144
67.62	287

=====

For SmSnAu4, a structure optimized by DFT (PBE) gives the computed PXRD pattern in this record (Cu Kα (λ = 1.5418 Å)).
No peak broadening, texture or thermal motion is included.

Cell and atoms:
a = 6.586 Å, b = 6.586 Å, c = 6.699 Å
α = 102.14°, β = 102.14°, γ = 75.02°
Positions (direct):
Sm 0.156 0.156 0.253
Sm 0.844 0.844 0.747
Sn 0.396 0.396 0.689
Sn 0.604 0.604 0.311
Au 0.146 0.146 0.780
Au 0.197 0.560 0.068
Au 0.234 0.766 0.500
Au 0.440 0.803 0.932
Au 0.560 0.197 0.068
Au 0.766 0.234 0.500
Au 0.803 0.440 0.932
Au 0.854 0.854 0.220

Most intense lines, 2θ from 5° to 70°, by angle:
two_theta	intensity
19.26	265
28.45	181
29.53	227
34.67	324
34.89	363
35.69	1000
36.83	324
38.39	344
41.50	211
43.24	442

=====

For SmSn2Au6, a structure optimized by DFT (PBE) gives the computed PXRD pattern in this record (Cu Kα (λ = 1.5418 Å)).
+++
Completed =
2